## Data
{
  "formula": "C46H33AlBrF4N3P2",
  "method": "wB97M-V/def2-TZVPD",
  "homo_lumo_gap_ha": 0.24709,
  "total_charge": 2,
  "e_lumo_ev": -6.655,
  "species": ["Al", "C", "C", "C", "C", "N", "C", "C", "C", "C", "C", "C", "N", "H", "H", "H", "H", "H", "H", "H", "H", "F", "C", "C", "F", "C", "F", "C", "P", "C", "C", "C", "C", "C", "C", "C", "C", "C", "C", "C", "C", "C", "Br", "C", "F", "H", "H", "H", "H", "H", "H", "H", "H", "H", "H", "N", "P", "C", "C", "C", "C", "C", "C", "C", "C", "C", "C", "C", "C", "C", "C", "C", "C", "C", "C", "H", "H", "H", "H", "H", "H", "H", "H", "H", "H", "H", "H", "H", "H", "H"],
  "coordinates": [[4.07, -17.24, 11.89], [2.31, -14.77, 14.83], [2.39, -13.53, 14.23], [2.91, -13.41, 12.93], [3.37, -14.53, 12.31], [3.29, -15.78, 12.87], [2.77, -15.86, 14.12], [3.83, -14.60, 10.93], [3.99, -13.53, 10.06], [4.41, -13.81, 8.78], [4.61, -15.13, 8.37], [4.50, -16.11, 9.31], [4.15, -15.87, 10.55], [1.84, -14.89, 15.79], [2.03, -12.67, 14.76], [2.96, -12.38, 12.59], [2.58, -16.89, 14.51], [3.90, -12.50, 10.36], [4.55, -12.97, 8.13], [4.84, -15.42, 7.34], [4.70, -17.18, 9.14], [-0.98, -16.56, 6.84], [-0.24, -17.18, 7.70], [0.82, -17.99, 7.24], [1.00, -18.18, 5.96], [1.71, -18.49, 8.16], [2.65, -19.29, 7.64], [1.53, -18.26, 9.52], [2.74, -18.97, 10.73], [1.85, -19.92, 11.95], [2.54, -20.08, 13.12], [2.00, -20.80, 14.21], [0.73, -21.35, 14.08], [0.04, -21.19, 12.89], [0.58, -20.46, 11.85], [3.81, -20.19, 9.82], [3.20, -21.43, 9.58], [3.86, -22.38, 8.76], [5.14, -22.14, 8.32], [5.70, -20.88, 8.49], [5.04, -19.90, 9.24], [0.44, -17.47, 9.95], [0.20, -17.07, 11.81], [-0.43, -16.96, 9.06], [-1.47, -16.19, 9.44], [3.57, -19.69, 13.24], [2.58, -20.91, 15.10], [0.37, -22.06, 14.79], [-0.95, -21.67, 12.77], [0.03, -20.24, 10.93], [2.15, -21.70, 9.94], [3.36, -23.32, 8.58], [5.59, -22.86, 7.79], [6.68, -20.64, 8.08], [5.52, -18.99, 9.41], [5.48, -17.97, 12.54], [7.02, -17.79, 12.71], [7.54, -17.43, 14.44], [6.65, -17.64, 15.52], [7.05, -17.31, 16.79], [8.25, -16.70, 17.04], [9.13, -16.44, 15.96], [8.77, -16.88, 14.70], [7.64, -16.40, 11.75], [7.59, -15.12, 12.27], [7.93, -14.01, 11.48], [8.35, -14.23, 10.20], [8.40, -15.53, 9.66], [8.05, -16.62, 10.40], [7.95, -19.25, 12.11], [7.32, -20.42, 11.68], [8.09, -21.53, 11.33], [9.50, -21.51, 11.43], [10.09, -20.31, 11.72], [9.33, -19.16, 11.99], [5.66, -18.07, 15.34], [6.40, -17.38, 17.66], [8.50, -16.27, 18.02], [10.11, -15.97, 16.21], [9.44, -16.62, 13.85], [7.39, -14.95, 13.34], [7.97, -13.05, 11.92], [8.56, -13.39, 9.53], [8.79, -15.67, 8.65], [7.97, -17.65, 9.99], [6.24, -20.55, 11.77], [7.54, -22.42, 11.03], [10.13, -22.40, 11.15], [11.15, -20.20, 11.64], [9.88, -18.19, 12.14]]
}

{
  "formula": "C30H44AsBr2CsN6OSi2",
  "method": "wB97M-V/def2-TZVPD",
  "homo_lumo_gap_ha": 0.18164,
  "total_charge": -2,
  "e_lumo_ev": 3.859,
  "species": ["Cs", "C", "C", "C", "C", "C", "N", "C", "C", "C", "C", "C", "C", "C", "N", "C", "C", "C", "N", "C", "C", "N", "C", "C", "C", "N", "H", "H", "H", "H", "H", "H", "H", "H", "H", "H", "H", "H", "H", "H", "H", "H", "H", "H", "Br", "C", "Br", "H", "H", "N", "C", "O", "C", "C", "H", "H", "H", "H", "H", "H", "C", "Si", "C", "C", "As", "Si", "C", "C", "C", "H", "H", "H", "H", "H", "H", "H", "H", "H", "H", "H", "H", "H", "H", "H", "H", "H", "H"],
## Wanted
Quote the calculation results earlier on from the line with "C46H33AlBrF4N3P2" to the end exactly.
## Outcome
  "formula": "C46H33AlBrF4N3P2",
  "method": "wB97M-V/def2-TZVPD",
  "homo_lumo_gap_ha": 0.24709,
  "total_charge": 2,
  "e_lumo_ev": -6.655,
  "species": ["Al", "C", "C", "C", "C", "N", "C", "C", "C", "C", "C", "C", "N", "H", "H", "H", "H", "H", "H", "H", "H", "F", "C", "C", "F", "C", "F", "C", "P", "C", "C", "C", "C", "C", "C", "C", "C", "C", "C", "C", "C", "C", "Br", "C", "F", "H", "H", "H", "H", "H", "H", "H", "H", "H", "H", "N", "P", "C", "C", "C", "C", "C", "C", "C", "C", "C", "C", "C", "C", "C", "C", "C", "C", "C", "C", "H", "H", "H", "H", "H", "H", "H", "H", "H", "H", "H", "H", "H", "H", "H"],
  "coordinates": [[4.07, -17.24, 11.89], [2.31, -14.77, 14.83], [2.39, -13.53, 14.23], [2.91, -13.41, 12.93], [3.37, -14.53, 12.31], [3.29, -15.78, 12.87], [2.77, -15.86, 14.12], [3.83, -14.60, 10.93], [3.99, -13.53, 10.06], [4.41, -13.81, 8.78], [4.61, -15.13, 8.37], [4.50, -16.11, 9.31], [4.15, -15.87, 10.55], [1.84, -14.89, 15.79], [2.03, -12.67, 14.76], [2.96, -12.38, 12.59], [2.58, -16.89, 14.51], [3.90, -12.50, 10.36], [4.55, -12.97, 8.13], [4.84, -15.42, 7.34], [4.70, -17.18, 9.14], [-0.98, -16.56, 6.84], [-0.24, -17.18, 7.70], [0.82, -17.99, 7.24], [1.00, -18.18, 5.96], [1.71, -18.49, 8.16], [2.65, -19.29, 7.64], [1.53, -18.26, 9.52], [2.74, -18.97, 10.73], [1.85, -19.92, 11.95], [2.54, -20.08, 13.12], [2.00, -20.80, 14.21], [0.73, -21.35, 14.08], [0.04, -21.19, 12.89], [0.58, -20.46, 11.85], [3.81, -20.19, 9.82], [3.20, -21.43, 9.58], [3.86, -22.38, 8.76], [5.14, -22.14, 8.32], [5.70, -20.88, 8.49], [5.04, -19.90, 9.24], [0.44, -17.47, 9.95], [0.20, -17.07, 11.81], [-0.43, -16.96, 9.06], [-1.47, -16.19, 9.44], [3.57, -19.69, 13.24], [2.58, -20.91, 15.10], [0.37, -22.06, 14.79], [-0.95, -21.67, 12.77], [0.03, -20.24, 10.93], [2.15, -21.70, 9.94], [3.36, -23.32, 8.58], [5.59, -22.86, 7.79], [6.68, -20.64, 8.08], [5.52, -18.99, 9.41], [5.48, -17.97, 12.54], [7.02, -17.79, 12.71], [7.54, -17.43, 14.44], [6.65, -17.64, 15.52], [7.05, -17.31, 16.79], [8.25, -16.70, 17.04], [9.13, -16.44, 15.96], [8.77, -16.88, 14.70], [7.64, -16.40, 11.75], [7.59, -15.12, 12.27], [7.93, -14.01, 11.48], [8.35, -14.23, 10.20], [8.40, -15.53, 9.66], [8.05, -16.62, 10.40], [7.95, -19.25, 12.11], [7.32, -20.42, 11.68], [8.09, -21.53, 11.33], [9.50, -21.51, 11.43], [10.09, -20.31, 11.72], [9.33, -19.16, 11.99], [5.66, -18.07, 15.34], [6.40, -17.38, 17.66], [8.50, -16.27, 18.02], [10.11, -15.97, 16.21], [9.44, -16.62, 13.85], [7.39, -14.95, 13.34], [7.97, -13.05, 11.92], [8.56, -13.39, 9.53], [8.79, -15.67, 8.65], [7.97, -17.65, 9.99], [6.24, -20.55, 11.77], [7.54, -22.42, 11.03], [10.13, -22.40, 11.15], [11.15, -20.20, 11.64], [9.88, -18.19, 12.14]]
}

{
  "formula": "C30H44AsBr2CsN6OSi2",
  "method": "wB97M-V/def2-TZVPD",
  "homo_lumo_gap_ha": 0.18164,
  "total_charge": -2,
  "e_lumo_ev": 3.859,
  "species": ["Cs", "C", "C", "C", "C", "C", "N", "C", "C", "C", "C", "C", "C", "C", "N", "C", "C", "C", "N", "C", "C", "N", "C", "C", "C", "N", "H", "H", "H", "H", "H", "H", "H", "H", "H", "H", "H", "H", "H", "H", "H", "H", "H", "H", "Br", "C", "Br", "H", "H", "N", "C", "O", "C", "C", "H", "H", "H", "H", "H", "H", "C", "Si", "C", "C", "As", "Si", "C", "C", "C", "H", "H", "H", "H", "H", "H", "H", "H", "H", "H", "H", "H", "H", "H", "H", "H", "H", "H"],